Uptick In Hiring In 2016 to Be Met With Lack of Quality Talent

December 9, 2015 – A majority of America’s hiring managers and corporate recruiters expect to increase hiring in the next six months, according to the annual hiring survey by DHI Group, Inc., a provider of career data and insights for specialized professional communities. The latest survey found 61 percent of respondents in the U.S. anticipate more hiring in the first half of 2016 as compared to the second half of 2015, a slight uptick from a year ago.
In the next six months, 17 percent of companies surveyed plan to hire 30 percent or more professionals, up five percentage points as compared to when asked in 2014. With hiring intentions rising, the survey underscores a challenging recruiting environment for U.S. employers, likely to lead to frustration as companies attempt to recruit for open roles.
Manpower’s Employment Outlook Survey recently found similar results, reporting its strongest outlook since 2007. Of the nearly 59,000 employers interviewed in 42 countries and territories across the globe, employers anticipate an increase in staffing levels in 39 countries and territories, compared with 36 of 42 in Q4 2015. Hiring prospects strengthen in 23 of 42 countries and territories when compared with Q4. Compared with last year at this time, outlooks improve in 19 countries and territories, weaken in 18 and are unchanged in five. Of the more than 11,000 U.S. employers surveyed, 20 percent anticipate increasing staff levels in Q1 2016.
“We’ve seen strong jobs growth in the U.S. throughout 2015, along with declining unemployment and increasing wages, which brings a continued optimism for the start of 2016,” said Jonas Prising, ManpowerGroup CEO. “We expect these broad trends to continue going into 2016. As the unemployment rate comes down and the labor market continues to tighten, employers will increasingly feel the impact of rising wages and the on-going skills mismatch.”
Nevertheless, positions are becoming more difficult to fill and it is taking longer to lure good candidates. According to the DHI report, 45 percent of hiring managers and recruiters say the time to fill open positions has lengthened relative to last year. The primary reason cited for the backlog: an inability to find qualified professionals (53 percent) followed by hiring managers saying they’re waiting for the perfect match (29 percent).
In a sign of increased competition among employers, more than a third (37 percent) of hiring managers are seeing more counteroffers. Signaling it’s a candidates’ market, 47 percent of hiring managers say there are positions they are unable to fill due to confined salary requirements for the roles. In response, more hiring managers (56 percent in 2015 compared to 49 percent in 2014) predict higher, and rising, salaries for new hires this year.
“The recruiting environment for certain highly-skilled professionals is the toughest I’ve seen in nearly a decade, with companies jockeying for in-demand talent and candidates having their pick at ideal positions and compensation,” said Michael Durney, president and CEO of DHI Group. “In addition to bulking up budgets to pay desired candidates, companies have to consider ongoing sourcing and identifying professionals ahead of the creation of a specific job opening. Recruitment has to be more about relationship building today than ever before.”
The ability to have an identified and engaged pipeline of ideal professionals ready when a position becomes available is one way to mitigate the gap when professionals leave their roles for other opportunities, said Mr. Durney.
Professionals are indeed changing employers to further their careers. Turnover continues to be an issue for employers with 43 percent of corporate respondents noting voluntary turnover has increased at their companies. A third of hiring managers said turnover has been desirable.
A handful of companies may be getting the recruiting formula right, with 21 percent saying more candidates are accepting offers, up from 14 percent who said this a year ago. For many others, additional recruiting tactics to attract candidates like sign-on bonuses, or perks such as free lunch or free gym memberships, and paying relocation costs are more frequent today than last year and some of the ways companies are trying to entice professionals.
Another report from Manpower found that the uptick in hiring is leading to other recruiting issues with 32 percent of U.S. employers reporting difficulties filling job vacancies due to talent shortages. Globally, the study found that the percentage of employers experiencing difficulties continues to rise, increasing from 36 percent in 2014 to 38 percent in 2015. When asked why they are struggling to fill certain jobs, employers cite a lack of applicants (33 percent), lack of experience (19 percent), and lack of technical competencies or hard skills (17 percent). Technical competencies employers seek include industry-specific professional qualifications (seven percent) and trade certifications (seven percent).
“Talent shortages are real and are not going away,” said Kip Wright, senior vice president, Manpower North America. “Despite impacts to competitiveness and productivity, our research shows fewer employers are trying to solve the problem through better talent strategies. As the struggle to find the right talent continues, and candidates with in-demand skills get the upper hand, employers will be under pressure to position themselves as ‘talent destinations’ to attract the best workers that will drive their business forward.”
Regionally, hiring managers report the most severe talent shortage is in Japan (83 percent). Around two in three employers report difficulty filling jobs in both Peru (68 percent) and Hong Kong (65 percent), while talent shortages are an issue for 61 percent of employers in both Brazil and Romania says Manpower.
According to a separate report from Glassdoor Economic Research, the time required for a candidate to progress through the hiring process has increased dramatically in recent years. For those candidates in the U.S. and Canada about to embark on a search, the average interview process, now takes about 23 days, up from 13 days in 2010. French job candidates report the longest duration at 32 days, followed by Germany at 29 days, the U.K. at 28 days, and Australia at 27 days. Glassdoor’s research reveals that hiring times in the U.S., Canada, and in many major European markets and Australia are growing as employer screening methods — including background checks, drug tests, and skills & personality assessments — are rising.
_Materials data, as found in the file_
A relaxed LiCu4NiSn2 crystal. Source: OQMD, functional PBE.

Properties
Calculated total energy, eV per atom: -3.857

```
data_LiCu4NiSn2
_symmetry_space_group_name_H-M 'P 4/m m m'
_symmetry_Int_Tables_number 123
_symmetry_space_group_name_Hall '-P 4 2'
_cell_length_a 4.3344
_cell_length_b 4.3344
_cell_length_c 6.1205
_cell_angle_alpha 90.00
_cell_angle_beta 90.00
_cell_angle_gamma 90.00
loop_
_atom_site_label
_atom_site_type_symbol
_atom_site_fract_x
_atom_site_fract_y
_atom_site_fract_z
Li1 Li 0.0000 0.0000 0.0000
Cu1 Cu 0.0000 0.5000 0.2541
Ni1 Ni 0.5000 0.5000 0.5000
Sn1 Sn 0.0000 0.0000 0.5000
Sn2 Sn 0.5000 0.5000 0.0000
```
Contributed by Scott A. Scanlon, Editor-in-Chief, Hunt Scanlon Media